Research area:



Combinatorial Optimization

In the combinatorial optimization research line, we deal with the development of algorithms for the efficient solution of combinatorial optimization problems. While we mainly focus on the development and analysis of metaheuristics algorithms, we also do research in exact and mathehuristic approaches.

== Unrelated to this piece: data records ==
/*
Entry 1:
A molecular structure, C31H40AsF6N5W at a distorted geometry. Source: the OMol25 dataset; level of theory: ωB97M-V with the def2-TZVPD basis set.

Output
* ΔE to the lowest compared entry with this formula, charge and spin: 1.6182 eV
* multiplicity: 4
* gap between HOMO and LUMO (alpha / beta): 5.19 / 5.79 eV
* net charge: +3

```
84
Properties=species:S:1:pos:R:3:forces:R:3:lowdin_charge:R:1
W -0.6668 -0.2449 -0.1105 -0.5 -1.7 -1.4 1.805
C -3.7755 0.4913 1.1083 0.1 -0.1 -0.2 0.007
C -2.3187 0.5542 1.4473 -0.2 0.5 0.9 -0.368
C -1.5769 1.7374 1.2914 -0.2 0.1 0.5 -0.079
C -0.4320 1.9824 2.0722 0.3 0.0 0.0 -0.235
C 0.2154 3.3305 2.0302 0.0 0.1 0.1 -0.015
C -0.0193 1.0277 3.0239 -0.1 0.3 -0.2 -0.006
C -0.6481 -0.1956 3.0904 -0.2 -0.3 -0.2 -0.279
C -0.3038 -1.2208 4.1244 0.0 0.0 0.0 -0.003
C -1.6779 -0.4928 2.1401 -0.5 0.6 1.3 -0.118
H -4.3051 0.8922 1.9771 0.0 0.0 0.0 0.129
H -4.1187 -0.5316 0.9693 0.0 0.0 0.0 0.089
H -4.0322 1.1041 0.2492 0.0 0.0 0.0 0.075
H -2.0079 2.5571 0.7319 0.1 0.0 -0.1 0.115
H -0.1435 3.9033 2.8915 0.0 0.0 0.0 0.121
H -0.0581 3.8903 1.1377 0.0 0.0 0.0 0.078
H 1.2997 3.2713 2.1334 0.0 0.0 0.0 0.088
H 0.7664 1.2808 3.7278 0.0 0.0 0.0 0.148
H -1.0870 -1.2164 4.8888 0.1 0.0 0.0 0.120
H 0.6438 -1.0127 4.6176 0.0 0.0 0.0 0.100
H -0.2908 -2.2339 3.7138 0.0 0.0 0.0 0.096
H -2.2400 -1.4102 2.2789 0.1 -0.1 -0.1 0.137
N 1.0477 -1.0362 1.0454 0.0 0.4 -0.5 -0.004
C 2.2377 -1.8113 0.6610 0.1 0.1 0.1 -0.231
C 3.2132 -1.8950 1.6500 0.0 0.0 0.0 -0.028
C 4.3086 -2.7167 1.4785 0.0 0.0 0.0 -0.034
C 4.3915 -3.4784 0.3189 0.0 0.0 0.0 -0.024
C 3.4254 -3.3636 -0.6615 0.0 0.0 0.0 0.003
C 2.3256 -2.4975 -0.5387 -0.1 0.1 -0.2 -0.121
C 1.3927 -2.2526 -1.6759 0.0 0.1 0.2 -0.181
C 1.7040 -2.8372 -2.9053 -0.1 -0.1 -0.3 -0.018
C 0.9938 -2.5730 -4.0653 0.2 -0.1 0.1 -0.027
C -0.0714 -1.6875 -4.0302 -0.1 0.0 0.1 -0.049
C -0.4239 -1.1307 -2.8158 0.2 -0.2 -0.2 -0.143
C 0.2836 -1.3760 -1.6128 0.0 0.6 -0.6 -0.258
H 1.3798 -0.2477 1.6000 0.0 0.1 0.2 0.088
H 0.5876 -1.6176 1.7435 -0.1 0.0 0.1 0.087
H 3.0986 -1.3319 2.5715 0.0 0.0 0.0 0.124
H 5.0702 -2.7824 2.2434 0.0 0.0 0.0 0.127
H 5.2147 -4.1651 0.1759 0.0 0.0 0.0 0.129
H 3.5417 -3.9748 -1.5427 0.0 0.0 0.0 0.112
H 2.5399 -3.5133 -2.9901 0.0 0.0 0.0 0.108
H 1.2799 -3.0588 -4.9893 0.0 0.0 0.0 0.127
H -0.6331 -1.4506 -4.9247 0.0 0.0 0.0 0.124
H -1.2797 -0.4716 -2.8151 0.0 0.0 -0.1 0.068
C -4.0409 -0.8713 -1.8876 0.0 -0.1 0.0 0.021
C -3.2733 -1.8823 -1.1252 0.0 -0.1 -0.1 -0.323
N -2.1273 -1.7575 -0.4462 0.3 -0.2 0.1 -0.066
C -1.8141 -3.0202 0.0677 0.1 0.1 0.1 -0.101
C -2.7748 -3.8908 -0.2933 -0.1 0.0 -0.1 -0.001
N -3.6716 -3.1585 -1.0367 0.1 0.0 0.1 0.161
H -3.5800 0.0993 -1.8145 0.0 0.2 0.0 0.032
H -5.0611 -0.8087 -1.5068 0.0 0.0 0.0 0.116
H -4.0909 -1.1560 -2.9398 0.0 0.0 0.0 0.117
H -0.9148 -3.2109 0.6273 0.0 -0.1 0.0 0.117
H -2.8959 -4.9435 -0.1037 0.0 0.0 0.0 0.146
H -4.5116 -3.5205 -1.4653 0.0 0.0 0.0 0.193
C 1.5538 2.5090 -1.5891 0.0 0.0 0.0 -0.102
C 2.5795 3.5919 -2.2442 0.0 -0.1 0.0 -0.030
*/
== Here the piece continues ==


Combinatorial optimization problems are ubiquitous in the real-world. Routing, scheduling, location, or cutting/packing, are examples of common problems in this area. Most of these problems are characterized for having a complexity that makes it impossible to solve high-dimensional instances to optimality, and here is where metaheuristics algorithms come to play. Metaheuristic algorithms are a set of techniques and algorithms that, although in most of occasions do not guarantee to find the global optimal solutions, they provide high-quality solutions in affordable computation times. They account for high-level procedures to find, generate, or select simple heuristics, or elaborated methods where heuristics are hybridized with mathematical programming techniques.


In the heuristics optimization research line we develop new algorithms and techniques for the solution of combinatorial optimization problems. Particularly, in the last years we have carried out research in the areas of population-based algorithms and local-search strategies. In population-based algorithms we have concentrated in estimation of distribution algorithms and particularly in their use on the solution of permutation-based combinatorial optimization problems. In the case of local-search algorithms, several of our research results in the analysis of their behavior have contributed to the design of new local search methods.

In addition to the previous work we also pursue theoretical analysis of metaheuristic algorithms and its application on the solution of real-world problems. Specifically, we have lately considered spacecraft trajectory design, routing problems, production planning or logistics for emergency medical services.

Another piece of research that is also carried out in the line is the development of exact algorithms. Particularly we try to make contributions to i) branch-and-bound and branch-and-cut strategies, ii) research in stochastic optimization and risk management and iii) design and implementation of decomposition algorithms based on Branch and Fix Coordination and Lagrangean techniques.



A multi-domain methodology to analyze an optimization problem set

Authors: Etor Arza, Ekhiñe Irurozki, Josu Ceberio, Aritz Perez

[Quantum chemistry results, kept here for reference]
********
(1)
90
Properties=species:S:1:pos:R:3:lowdin_spin:R:1 method="wB97M-V/def2-TZVPD" e_homo_ev="-6.77 / -7.20" energy_ev=-194050.42337 e_above_lowest_ev=0.000 gap_ev="6.741 / 6.617" s2=0.75 largest_force_ev_per_a=0.83 multiplicity=2
Rh -0.71 -0.77 1.39 0.00
Cl 3.56 4.90 -1.39 0.00
C 3.33 3.29 -0.82 0.00
C 4.29 2.69 0.00 0.00
Cl 5.70 3.56 0.46 0.00
C 4.09 1.38 0.45 0.00
Cl 5.24 0.59 1.47 0.00
C 2.96 0.68 0.08 0.00
O 2.71 -0.58 0.47 0.04
C 1.99 1.28 -0.74 0.00
O 0.93 0.54 -1.04 0.02
C 2.18 2.58 -1.19 0.00
Cl 0.99 3.27 -2.22 0.00
N -4.71 -1.79 0.37 0.00
C -3.65 -1.08 0.83 0.00
N -2.50 -1.60 0.47 0.00
C -2.82 -2.74 -0.25 0.00
C -2.00 -3.70 -0.83 0.00
C -2.59 -4.74 -1.51 0.00
C -3.99 -4.84 -1.61 0.00
C -4.83 -3.91 -1.02 0.00
C -4.21 -2.86 -0.34 0.00
H -5.67 -1.56 0.53 0.00
H -3.75 -0.18 1.42 0.00
H -0.92 -3.62 -0.73 0.00
H -1.98 -5.50 -1.98 0.00
H -4.42 -5.67 -2.15 0.00
H -5.90 -3.99 -1.09 0.00
C 3.93 -3.03 2.21 0.08
Si 3.47 -3.40 0.43 0.45
C 4.80 -2.80 -0.74 0.07
C 3.25 -5.26 0.18 0.08
Ge 1.04 -1.18 -0.16 0.10
Si -0.42 -2.65 2.67 0.00
C 0.77 -2.43 4.11 0.00
C -2.14 -2.96 3.40 0.00
C 0.01 -4.28 1.84 0.02
Si 1.21 -1.97 -2.43 0.04
C -0.34 -1.29 -3.25 0.01
C 1.34 -3.82 -2.78 0.00
C 2.68 -1.11 -3.22 0.00
H 5.02 -3.10 2.31 0.01
H 3.47 -3.74 2.90 0.00
H 3.64 -2.02 2.49 0.00
H 5.77 -3.03 -0.29 0.01
H 4.76 -1.72 -0.90 0.00
H 4.76 -3.31 -1.71 0.00
H 4.23 -5.70 -0.03 0.01
H 2.59 -5.50 -0.65 0.00
H 2.85 -5.74 1.07 0.00
H 0.38 -1.70 4.83 0.00
H 1.75 -2.09 3.78 0.00
H 0.91 -3.38 4.63 0.00
H -2.56 -2.07 3.88 0.00
H -2.06 -3.74 4.16 0.00
H -2.84 -3.31 2.64 0.00
H 1.02 -4.26 1.41 0.02
H -0.69 -4.54 1.04 0.00
H -0.02 -5.08 2.58 0.00
H -1.26 -1.67 -2.80 0.00
H -0.36 -1.57 -4.31 0.00
H -0.31 -0.20 -3.19 0.00
H 0.67 -4.42 -2.17 0.00
H 2.36 -4.18 -2.59 0.00
H 1.11 -4.01 -3.83 0.00
H 2.59 -0.03 -3.14 0.00
H 2.70 -1.38 -4.28 0.00
H 3.63 -1.42 -2.78 0.00
N -2.79 0.65 -2.01 0.00
C -3.03 1.57 -1.03 0.00
S -1.90 1.81 0.16 0.00
N -4.24 2.18 -1.17 0.00
C -4.96 3.10 -0.37 0.00
C -4.50 3.71 0.79 0.00
C -5.33 4.59 1.47 0.00
C -6.60 4.88 1.02 0.00
C -7.06 4.28 -0.15 0.00
C -6.25 3.40 -0.83 0.00
H -1.84 0.32 -2.06 0.00
H -3.27 0.72 -2.90 0.00
H -4.77 1.88 -1.97 0.00
H -3.51 3.50 1.16 0.00
H -4.96 5.06 2.38 0.00
H -7.23 5.58 1.56 0.00
H -8.05 4.50 -0.52 0.00
H -6.61 2.94 -1.75 0.00
I -1.17 0.85 3.64 0.00
C 0.59 0.32 2.39 0.00
H 1.37 0.01 3.07 0.00
H 0.85 1.26 1.89 0.00

(2)
84
Properties=species:S:1:pos:R:3:mulliken_charge:R:1 method="wB97M-V/def2-TZVPD" e_homo_ev=-3.05 energy_ev=-68218.21580 gap_ev=5.716 largest_force_ev_per_a=0.56 total_charge=-1
Pd -0.22 -0.48 -1.70 -2.04
C 4.81 -1.15 -1.24 -1.45
C 3.46 -0.77 -1.85 0.31
C 3.52 0.52 -2.66 -1.19
P 1.93 -0.83 -0.80 1.43
C 2.16 -2.49 0.03 0.33
C 0.87 -3.31 0.10 -1.34
C 2.81 -2.46 1.41 -1.47
C 2.22 0.37 0.57 2.00
C 3.31 1.23 0.71 -0.01
C 3.42 2.16 1.74 0.02
C 4.62 3.05 1.87 -1.99
C 2.38 2.20 2.67 -0.86
C 1.27 1.37 2.57 -0.66
C 1.15 0.45 1.50 -2.14
N 0.08 -0.29 1.17 1.63
C -0.97 -0.70 1.90 -1.46
C -0.96 -0.86 3.31 -1.01
********

License: free and open source software


Authors: Etor Arza, Leni Le Goff, Emma Hart

License: free and open source software


OPLib: Test instances for the Orienteering Problem

Authors: Gorka Kobeaga, Maria Merino, Jose A. Lozano

License: free and open source software

RB&C and EA4OP

In this repository, you will find the implementation of two algorithms to solve the Orienteering Problem (OP): RB&C (exact) and EA4OP (heuristic)

Authors: Gorka Kobeaga, Maria Merino, Jose A. Lozano

License: free and open source software

A307429 sequence

OEIS sequence with the number of permutations of {1..n} at Kendall tau distance k of permutation sigma1 and k+1 Kendall tau distance of permutation sigma2, where sigma1 and sigma2 are at Kendall tau distance 1. Published in

Authors: Imanol Unanue, Maria Merino, Jose A. Lozano

License: free and open source software

Download from


SMIQLib is a repository of multistage stochastic mixed 0–1 quadratic instances. See

Authors: Unai Aldasoro, Maria Merino, Gloria Pérez

License: free and open source software


Dataset for Stochastic Mixed Integer Quadratic Optimization

Authors: Unai Aldasoro, Maria Merino, Gloria Pérez

Here the text breaks off for molecular data >
┌──
## A
Computed, not measured: a structure of composition C3H5NO2S, with ωB97M-V/def2-TZVPD.

As for the highest occupied orbital energy: -10.866 eV. As for the HOMO-LUMO gap: 11.19 eV.

Element x y z (Å)
C (-1.26, -0.04, -0.25)
C (-0.25, 0.97, 0.36)
C (-0.29, -1.40, -0.18)
N (0.97, -1.47, 0.11)
O (2.30, 0.58, 1.24)
O (2.01, 0.48, -1.19)
S (1.45, 0.21, 0.13)
H (-2.26, -0.13, 0.20)
H (-1.35, 0.23, -1.32)
H (-0.26, 1.68, -0.43)
H (-0.37, 1.26, 1.43)
H (-0.69, -2.37, -0.10)

## B
Computed, not measured: a cluster of 2 separate species, C3H5NO2S in total, with ωB97M-V/def2-TZVPD.

As for the highest occupied orbital energy (spin up / spin down): -9.147 / -9.147 eV. As for the HOMO-LUMO gap (spin up / spin down): 7.38 / 7.39 eV.

Element x y z (Å)
C (1.89, -0.35, 0.24)
C (0.98, 0.59, 0.34)
C (-0.49, 0.06, 0.32)
N (-1.33, 0.93, 0.61)
O (-0.54, -1.20, -0.02)
O (-3.91, 0.12, -1.01)
S (-3.52, -0.42, 0.51)
H (2.88, -0.04, 0.28)
H (1.71, -1.36, 0.29)
H (1.25, 1.67, 0.53)
H (-1.51, -1.27, -0.18)
H (-3.64, 1.06, -0.98)

## C
Computed, not measured: a structure of composition C3H5NO2S, with ωB97M-V/def2-TZVPD.

As for the highest occupied orbital energy: -10.655 eV. As for the HOMO-LUMO gap: 10.47 eV.

Element x y z (Å)
C (0.74, -1.54, 0.38)
C (-0.68, -0.89, 0.52)
C (0.17, -0.56, -0.61)
N (1.01, 1.20, -0.28)
O (0.35, 3.56, 0.14)
O (-1.41, 2.03, -0.66)
S (-0.03, 2.30, -0.36)
H (1.56, -1.15, 0.96)
H (0.77, -2.69, 0.13)
H (-1.40, -1.62, 0.24)
H (-0.89, -0.12, 1.25)
H (-0.18, -0.53, -1.71)

## D
Computed, not measured: an isolated molecule of C3H5NO2S, with ωB97M-V/def2-TZVPD.

As for the SMILES: N=[S@]1(=O)C=COC1. As for the highest occupied orbital energy: -9.599 eV. As for the HOMO-LUMO gap: 10.45 eV.

Element x y z (Å)
C (1.43, -0.76, -0.16)
C (0.30, -1.42, -0.11)
C (0.23, 1.22, -0.40)
N (-1.71, 0.15, 1.25)
O (-1.94, -0.17, -1.29)
O (1.47, 0.60, -0.26)
S (-1.10, -0.06, -0.12)
H (2.43, -1.17, -0.15)
H (0.09, -2.46, 0.00)
H (0.11, 2.00, 0.34)
H (0.10, 1.60, -1.41)
H (-2.71, 0.07, 1.28)

In terms of stability, A leads; the second structure lies 1.141 eV higher.

## A
Computed, not measured: an isolated molecule of C3H5NO2S, with ωB97M-V/def2-TZVPD.

As for the SMILES: C=NOCC(O)=S. As for the highest occupied orbital energy: -8.933 eV. As for the HOMO-LUMO gap: 9.49 eV.

Element x y z (Å)
C (0.82, -0.95, 0.01)
C (0.57, 0.47, -0.65)
C (-1.99, 2.46, -0.03)
H (2.35, -2.05, -0.08)
H (0.78, 0.52, -1.75)
H (1.50, 0.94, 0.03)
H (-2.71, 3.35, -0.43)
H (-2.19, 1.82, 0.96)
N (-1.20, 2.02, -1.02)
O (1.86, -1.42, -0.61)
O (-0.63, 0.84, -0.27)
S (0.15, -1.62, 1.22)
└──

License: free and open source software

OPTECOT - Optimal Evaluation Cost Tracking

This repository contains supplementary material for the paper Speeding-up Evolutionary Algorithms to solve Black-Box Optimization Problems. In this work, we have presented OPTECOT (Optimal Evaluation Cost Tracking): a technique to reduce the cost of solving a computationally expensive black-box optimization problem using population-based algorithms, avoiding loss of solution quality. OPTECOT requires a set of approximate objective functions of different costs and accuracies, obtained by modifying a strategic parameter in the definition of the original function. The proposal allows the selection of the lowest cost approximation with the trade-off between cost and accuracy in real time during the algorithm execution. To solve an optimization problem different from those addressed in the paper, the repository also contains a library to apply OPTECOT with the CMA-ES (Covariance Matrix Adaptation Evolution Strategy) optimization algorithm.

Authors: Judith Echevarrieta, Etor Arza, Aritz Pérez

License: free and open source software